Tuesday, October 26, 2010

Book Review: Peter Mandelson's The Third Man

I don't mind admitting it. It's taken me a long time to finish off Peter Mandelson. His book, I mean. And I have to say, I have immensely enjoyed it. Why? Because it is so authentically Peter Mandelson writing it. Well, of course it is, you may say. It's his autobiography. OK, fair point, but the fact is that many autobiographies are written with the intention of glorifying the role played by the author in the affairs of the nation that you wonder why you bothered reading the book in the first place. I am not saying this book is without its vanities - in fact, it is full of them. But unusually for a politician Peter Mandelson is unashamedly honest about his own strengths and weaknesses.

_Data records, kept here for reference_
# 1
For Np2CuTe2N2, DFT lattice parameters and positions (PBE) gives the simulated X-ray powder pattern in this record (λ = 1.5418 Å (Cu Kα)).
Lines closer than 0.1° are merged.

Peak list (6 most intense, 2θ = 10–90°, sorted by position)
2θ/deg, d/Å, I/Imax
27.9, 3.195, 100
30.8, 2.906, 77
35.0, 2.561, 51
40.3, 2.236, 33
47.6, 1.912, 44
61.8, 1.501, 34

Cell and atoms:
```
Np2CuTe2N2
1.0
3.824 0.000 0.000
-1.912 3.312 0.000
0.000 0.000 12.119
Np Cu Te N
2 1 2 2
direct
0.333 0.667 0.115
0.667 0.333 0.885
0.000 0.000 0.500
0.000 0.000 0.299
0.000 0.000 0.701
0.333 0.667 0.930
0.667 0.333 0.070
```


# 2
For CuSNO3, DFT lattice parameters and positions (PBE) gives the simulated X-ray powder pattern in this record (λ = 1.5418 Å (Cu Kα)).
Lines closer than 0.1° are merged.

Peak list (6 most intense, 2θ = 10–90°, sorted by position)
2θ/deg, d/Å, I/Imax
11.7, 7.564, 100
18.5, 4.808, 84
19.7, 4.514, 96
31.5, 2.841, 78
33.1, 2.707, 51
48.3, 1.886, 30

Cell and atoms:
```
CuSNO3
1.0
2.841 1.640 7.564
-2.841 1.640 7.564
0.000 -3.280 7.564
Cu S N O
2 2 2 6
direct
0.212 0.212 0.212
0.788 0.788 0.788
0.115 0.115 0.115
0.885 0.885 0.885
0.357 0.357 0.357
0.643 0.643 0.643
0.050 0.050 0.619
0.050 0.619 0.050
0.381 0.950 0.950
0.619 0.050 0.050
0.950 0.381 0.950
0.950 0.950 0.381
```


# 3
For Pa2CuPN5, DFT lattice parameters and positions (PBE) gives the simulated X-ray powder pattern in this record (λ = 1.5418 Å (Cu Kα)).
Lines closer than 0.1° are merged.

Peak list (6 most intense, 2θ = 10–90°, sorted by position)
2θ/deg, d/Å, I/Imax
15.9, 5.568, 55
27.1, 3.285, 41
28.6, 3.116, 39
28.9, 3.087, 100
34.7, 2.588, 55
38.7, 2.326, 99

Cell and atoms:
```
Pa2CuPN5
1.0
1.604 -6.570 0.000
1.604 6.570 0.000
0.000 0.000 10.489
Pa Cu P N
4 2 2 10
direct
0.120 0.880 0.500
0.154 0.846 0.167
0.846 0.154 0.667
0.880 0.120 0.000
0.202 0.798 0.897
0.798 0.202 0.397
0.439 0.561 0.247
0.561 0.439 0.747
0.048 0.952 0.830
0.289 0.711 0.525
0.330 0.670 0.171
0.349 0.651 0.838
0.486 0.514 0.620
0.514 0.486 0.120
0.651 0.349 0.338
0.670 0.330 0.671
0.711 0.289 0.025
0.952 0.048 0.330
```


# 4
For Pa2CuPN6, DFT lattice parameters and positions (PBE) gives the simulated X-ray powder pattern in this record (λ = 1.5418 Å (Cu Kα)).
Lines closer than 0.1° are merged.

Peak list (6 most intense, 2θ = 10–90°, sorted by position)
2θ/deg, d/Å, I/Imax
19.3, 4.602, 37
24.8, 3.589, 33
31.6, 2.830, 100
35.4, 2.538, 37
40.6, 2.222, 28
61.2, 1.515, 31

Cell and atoms:
```
Pa2CuPN6
1.0
5.075 0.000 0.000
0.000 5.075 0.000
0.000 0.000 4.602
Pa Cu P N
2 1 1 6
direct
0.000 0.500 0.000
0.500 0.000 0.000
0.000 0.000 0.568
0.500 0.500 0.557
0.000 0.000 0.127
0.270 0.270 0.688
0.270 0.730 0.688
0.500 0.500 0.199
0.730 0.270 0.688
0.730 0.730 0.688
```


# 5
For PmPa2CuN5, DFT lattice parameters and positions (PBE) gives the simulated X-ray powder pattern in this record (λ = 1.5418 Å (Cu Kα)).
Lines closer than 0.1° are merged.

Peak list (6 most intense, 2θ = 10–90°, sorted by position)

The title of the book gives it away. Peter Mandelson really did see himself as the Third Man - the third most important man in New Labour and possibly the third most important politician of the New Labour years. He makes a persuasive argument. And yet one cannot escape the thought that at times he was a major escalator of the rows which took place between the two men who sought his approval and political help - Tony Blair and Gordon Brown. He recognises this himself and catalogues the occasions where he knew that his very presence was not conducive to a good relationship between the Prime Minister and his Chancellor. At times he would completely absent himself in the hope that peace would prevail. As we all know, it was a vain hope.

Without doubt, the most entertaining parts of the books are the chapters detailing his return to the Cabinet in 2008, the 2010 election and the coalition talks. Although he was right at the centre of events, he writes about the events almost as a political commentator, watching them with some wry amusement.

He is painfully honest about his relationship with Gordon Brown and completely up front about his political and personal weaknesses. Almost completely. In the chapters on his return to government you sense that he would like to say more but he doesn't want to hurt his old political friend (and foe) any more than he has to. I can hear his editor saying "But Peter, we need just a little more here," on more than one occasion. But I don't blame him for that.

The truth is that Peter Mandelson very nearly helped pull off an unlikely victory for Gordon Brown. At times, it looked almost possible. But in the end you can't make a silk purse out of a sow's ear, and Brown's inadequacies rendered the Mandelson rescue mission impossible, a fact he implicitly acknowledges at the end of the book.

We don't learn an awful lot we didn't know about Peter Mandelson's personal life that we didn't know, which is a shame. His partner Reinaldo gets the odd passing mention but that's about all. One senses that there is still a certain reticence there, a feeling that such things are not talked about in polite society. I understand it, but from the reader's point of view, I regret it.

I don't see how anyone can possibly fully understand the New Labour years without reading this book. But it's not a book you ought to feel you must read out of a duty. It really is a pleasure. Mandelson writes well and although it is one of the vainest autobiographies I have ever read, it is no worse for it. As a political stragegist and one of the architects of New Labour, Peter Mandelson has a lot to be vain about.

Buy the book HERE.

# Next to the text, the page also holds records of crystals
-- begin --
Computed X-ray diffraction stick pattern
Compound: BaHg2Cl2O2
Radiation: a wavelength of 1.5418 Å
Structure: DFT lattice parameters and positions (PBE)

Structural model:
a b c (Å): 12.1813 12.1813 4.3429
angles (deg): 90.00 90.00 90.00
Sites, in units of the cell vectors:
Ba1 0.1357 0.3643 0.0000
Ba2 0.3643 0.8643 0.0000
Ba3 0.6357 0.1357 0.0000
Ba4 0.8643 0.6357 0.0000
Hg1 0.0794 0.8285 0.5000
Hg2 0.1715 0.0794 0.5000
Hg3 0.3285 0.5794 0.5000
Hg4 0.4206 0.3285 0.5000
Hg5 0.5794 0.6715 0.5000
Hg6 0.6715 0.4206 0.5000
Hg7 0.8285 0.9206 0.5000
Hg8 0.9206 0.1715 0.5000
Cl1 0.0000 0.0000 0.0000
Cl2 0.0000 0.5000 0.5000
Cl3 0.1750 0.6750 0.0000
Cl4 0.3250 0.1750 0.0000
Cl5 0.5000 0.0000 0.5000
Cl6 0.5000 0.5000 0.0000
Cl7 0.6750 0.8250 0.0000
Cl8 0.8250 0.3250 0.0000
O1 0.0836 0.2289 0.5000
O2 0.2289 0.9164 0.5000
O3 0.2711 0.4164 0.5000
O4 0.4164 0.7289 0.5000
O5 0.5836 0.2711 0.5000
O6 0.7289 0.5836 0.5000
O7 0.7711 0.0836 0.5000
O8 0.9164 0.7711 0.5000

Principal peaks in the range 15° ≤ 2θ ≤ 90°, by intensity:
31.03 deg, d = 2.882 Å, I = 100.0; 45.20 deg, d = 2.006 Å, I = 48.6; 26.38 deg, d = 3.378 Å, I = 48.3; 22.93 deg, d = 3.878 Å, I = 45.8; 36.79 deg, d = 2.443 Å, I = 39.3; 30.25 deg, d = 2.954 Å, I = 30.1; 26.24 deg, d = 3.396 Å, I = 27.4; 20.45 deg, d = 4.343 Å, I = 26.7

Computed X-ray diffraction stick pattern
Compound: BaTlHg2Cl8
Radiation: a wavelength of 1.5418 Å
Structure: DFT lattice parameters and positions (PBE)

Structural model:
a b c (Å): 9.0103 9.0103 9.0103
angles (deg): 134.79 134.79 65.86
Sites, in units of the cell vectors:
Ba1 0.0000 0.0000 0.0000
Tl1 0.2500 0.7500 0.5000
Hg1 0.5000 0.5000 0.0000
Hg2 0.7500 0.2500 0.5000
Cl1 0.0115 0.0586 0.4098
Cl2 0.2422 0.6756 0.0941
Cl3 0.3244 0.4185 0.5666
Cl4 0.3982 0.9885 0.0471
Cl5 0.5815 0.1481 0.9059
Cl6 0.6488 0.6018 0.5902
Cl7 0.8519 0.7578 0.4334
Cl8 0.9414 0.3512 0.9529

Principal peaks in the range 15° ≤ 2θ ≤ 90°, by intensity:
21.62 deg, d = 4.111 Å, I = 100.0; 35.14 deg, d = 2.554 Å, I = 40.6; 42.99 deg, d = 2.104 Å, I = 36.7; 40.23 deg, d = 2.241 Å, I = 21.9; 36.70 deg, d = 2.449 Å, I = 20.2; 55.58 deg, d = 1.653 Å, I = 15.4; 25.72 deg, d = 3.463 Å, I = 15.4; 44.05 deg, d = 2.056 Å, I = 13.0

Computed X-ray diffraction stick pattern
Compound: BaZnHgCl6
Radiation: a wavelength of 1.5418 Å
Structure: DFT lattice parameters and positions (PBE)

Structural model:
a b c (Å): 6.7936 6.7936 6.6476
angles (deg): 90.13 90.13 120.27
Sites, in units of the cell vectors:
Ba1 0.0000 0.0000 0.0000
Zn1 0.6659 0.3341 0.5000
Hg1 0.3336 0.6664 0.5000
Cl1 0.3813 0.0233 0.2791
Cl2 0.3806 0.3572 0.7203
Cl3 0.6419 0.0232 0.7205
Cl4 0.6428 0.6194 0.2797
Cl5 0.9768 0.3581 0.2795
Cl6 0.9767 0.6187 0.7209

Principal peaks in the range 15° ≤ 2θ ≤ 90°, by intensity:
-- stop --


  1. OK so we don't get to hear about his personal life, but is there any real information about his complex and secretive business activities? What about his relationships with sundry Russians and EU officials?

    What's particularly revealing about this book is that which he has chosen not to discuss or even mention. This kind of 'Honesty' is - true to character - smoke and mirrors, mere persiflage. It'll take a decent researcher to uncover the actualités - and Mandelson would fight that all the way.

  2. I'd rather get the Irish edition - The Turd Man ;-)

  3. Iain's toleration of human failing such as the vanity of Mandelson, which is off the scale, is equally immeasurable.

    I would not want to read any book that even mentions Tony Blair and Gordon Brown until at least fifty years have passed, by which time I will be safely out of time. Their faces and names bring on a feeling of instant sickness, brought on by endless years of suppressed rage.

    One thing I never forgive is being lied to. Being lied to every day of my life for a decade is as great a mental torture as any human could devise. Mandelson was and is the very equal of this pair in his capacity to know or express the truth.

    Please burn the book, and get rid of these peoples'faces from our memories. It would add years to my life expectancy, if you did. The stench of a society rotting from their works still invades our nostrils. It will take years for it to clear. Take pity of those of us who suffer. Get rid of these dysfunctional people and their endless vanities and perversions.

  4. The title The Third Man also alludes to eastern European connections.
